........
(1)
DFT (PBE+U) results for a geometry-optimized GdWClO4 structure.

a b c (Å): 6.4192 6.4192 7.0401
angles (deg): 104.16 104.16 70.94
Last column: nearest neighbours and their distance in Å.
Fractional coordinates of all 14 atoms:
Gd 0.2217 0.2217 0.1178  4 O 2.34-2.35
Gd 0.7783 0.7783 0.8822  4 O 2.34-2.35
W 0.3627 0.3627 0.7326  4 O 1.80-1.83
W 0.6373 0.6373 0.2674  4 O 1.80-1.83
Cl 0.0120 0.0120 0.7690  2 Gd 2.76-2.79
Cl 0.9880 0.9880 0.2310  2 Gd 2.76-2.79
O 0.1111 0.4914 0.8452  1 W 1.83
O 0.2934 0.2934 0.4662  1 W 1.80
O 0.4565 0.4565 0.1993  1 W 1.81
O 0.4914 0.1111 0.8452  1 W 1.83
O 0.5086 0.8889 0.1548  1 W 1.83
O 0.5435 0.5435 0.8007  1 W 1.81
O 0.7066 0.7066 0.5338  1 W 1.80
O 0.8889 0.5086 0.1548  1 W 1.83

Computed properties:
- Total moment: 7.00 μB/f.u.
- Crystal system: monoclinic

(2)
DFT (PBE+U) results for a geometry-optimized NdCrO3 structure.

a b c (Å): 3.9019 3.9019 3.9019
angles (deg): 90.00 90.00 90.00
Last column: nearest neighbours and their distance in Å.
Fractional coordinates of all 5 atoms:
Nd 0.0000 0.0000 0.0000  12 O 2.76
Cr 0.5000 0.5000 0.5000  6 O 1.95
O 0.0000 0.5000 0.5000  2 Cr 1.95
O 0.5000 0.0000 0.5000  2 Cr 1.95
O 0.5000 0.5000 0.0000  2 Cr 1.95

Computed properties:
- Total moment: 3.00 μB/f.u.
- Crystal system: cubic

(3)
DFT (PBE+U) results for a geometry-optimized Li3VH16O12 structure.

a b c (Å): 7.3523 6.5438 13.0583
angles (deg): 90.00 111.87 90.00
Last column: nearest neighbours and their distance in Å.
Fractional coordinates of all 64 atoms:
Li 0.0000 0.0465 0.0000  4 O 1.97-1.99
Li 0.0000 0.9535 0.5000  4 O 1.97-1.99
Li 0.5152 0.3563 0.5557  4 O 1.96-2.01
Li 0.5152 0.6437 0.0557  4 O 1.96-2.01
Li 0.6511 0.1516 0.7552  4 O 1.93-2.03
Li 0.6511 0.8484 0.2552  4 O 1.93-2.03
V 0.1808 0.4539 0.3179  4 O 1.74-1.76
V 0.1808 0.5461 0.8179  4 O 1.74-1.76
H 0.0103 0.1433 0.8131  1 O 1.01
H 0.0103 0.8567 0.3131  1 O 1.01
H 0.0783 0.2646 0.6296  1 O 1.00
H 0.0783 0.7354 0.1296  1 O 1.00
H 0.1173 0.3217 0.5179  1 O 1.01
H 0.1173 0.6783 0.0179  1 O 1.01
H 0.2532 0.3246 0.0220  1 O 1.01
H 0.2532 0.6754 0.5220  1 O 1.01
H 0.2840 0.2491 0.1433  1 O 1.00
H 0.2840 0.7509 0.6433  1 O 1.00
H 0.3497 0.1435 0.8078  1 O 1.00
H 0.3497 0.8565 0.3078  1 O 1.00
H 0.4308 0.0839 0.3129  1 O 0.99
H 0.4308 0.9161 0.8129  1 O 0.99
H 0.4349 0.0295 0.0793  1 O 1.00
H 0.4349 0.9705 0.5793  1 O 1.00
H 0.5323 0.4711 0.2372  1 O 1.00
H 0.5323 0.5289 0.7372  1 O 1.00
H 0.5916 0.4006 0.3999  1 O 0.99
H 0.5916 0.5994 0.8999  1 O 0.99
H 0.6445 0.0174 0.0723  1 O 1.00
H 0.6445 0.9826 0.5723  1 O 1.00
H 0.7496 0.2988 0.0123  1 O 0.99
H 0.7497 0.4629 0.2335  1 O 1.01
H 0.7497 0.5371 0.7335  1 O 1.01
H 0.7496 0.7012 0.5123  1 O 0.99
H 0.8081 0.3599 0.4937  1 O 1.00
H 0.8081 0.6401 0.9937  1 O 1.00
H 0.8789 0.2320 0.1339  1 O 1.01
H 0.8789 0.7680 0.6339  1 O 1.01
H 0.9382 0.0897 0.3102  1 O 1.01
H 0.9382 0.9103 0.8102  1 O 1.01
O 0.0308 0.2411 0.5478  2 H 1.00-1.01
O 0.0308 0.7589 0.0478  2 H 1.00-1.01
O 0.1432 0.2956 0.7703  3 H 1.63-1.73, 1 V 1.74
O 0.1432 0.7044 0.2703  3 H 1.63-1.73, 1 V 1.74
O 0.2507 0.1987 0.0661  2 H 1.00-1.01
O 0.2507 0.8013 0.5661  2 H 1.00-1.01
O 0.2538 0.4511 0.4619  2 H 1.67-1.68, 1 V 1.75
O 0.2538 0.5489 0.9619  2 H 1.67-1.68, 1 V 1.75
O 0.3669 0.3456 0.2804  4 H 1.73-1.84, 1 V 1.76
O 0.3669 0.6544 0.7804  4 H 1.73-1.84, 1 V 1.76
O 0.4714 0.0619 0.8223  2 H 0.99-1.00
O 0.4714 0.9381 0.3223  2 H 0.99-1.00
O 0.5503 0.0636 0.5953  2 H 1.00
O 0.5503 0.9364 0.0953  2 H 1.00
O 0.6277 0.4516 0.7136  2 H 1.00-1.01
O 0.6277 0.5484 0.2136  2 H 1.00-1.01
O 0.6827 0.4384 0.4752  2 H 0.99-1.00
O 0.6827 0.5616 0.9752  2 H 0.99-1.00
O 0.8149 0.1771 0.0562  2 H 0.99-1.01
O 0.8149 0.8229 0.5562  2 H 0.99-1.01
O 0.9220 0.0514 0.8367  2 H 1.01
O 0.9220 0.9486 0.3367  2 H 1.01
O 0.9606 0.3195 0.2598  3 H 1.63-1.73, 1 V 1.75
O 0.9606 0.6805 0.7598  3 H 1.63-1.73, 1 V 1.75

Computed properties:
- Total moment: 0.00 μB/f.u.
- Energy above the lowest structure with this stoichiometry: 4 meV per atom
........

Could you type out everything further up with every line break kept?

(1)
DFT (PBE+U) results for a geometry-optimized GdWClO4 structure.

a b c (Å): 6.4192 6.4192 7.0401
angles (deg): 104.16 104.16 70.94
Last column: nearest neighbours and their distance in Å.
Fractional coordinates of all 14 atoms:
Gd 0.2217 0.2217 0.1178  4 O 2.34-2.35
Gd 0.7783 0.7783 0.8822  4 O 2.34-2.35
W 0.3627 0.3627 0.7326  4 O 1.80-1.83
W 0.6373 0.6373 0.2674  4 O 1.80-1.83
Cl 0.0120 0.0120 0.7690  2 Gd 2.76-2.79
Cl 0.9880 0.9880 0.2310  2 Gd 2.76-2.79
O 0.1111 0.4914 0.8452  1 W 1.83
O 0.2934 0.2934 0.4662  1 W 1.80
O 0.4565 0.4565 0.1993  1 W 1.81
O 0.4914 0.1111 0.8452  1 W 1.83
O 0.5086 0.8889 0.1548  1 W 1.83
O 0.5435 0.5435 0.8007  1 W 1.81
O 0.7066 0.7066 0.5338  1 W 1.80
O 0.8889 0.5086 0.1548  1 W 1.83

Computed properties:
- Total moment: 7.00 μB/f.u.
- Crystal system: monoclinic

(2)
DFT (PBE+U) results for a geometry-optimized NdCrO3 structure.

a b c (Å): 3.9019 3.9019 3.9019
angles (deg): 90.00 90.00 90.00
Last column: nearest neighbours and their distance in Å.
Fractional coordinates of all 5 atoms:
Nd 0.0000 0.0000 0.0000  12 O 2.76
Cr 0.5000 0.5000 0.5000  6 O 1.95
O 0.0000 0.5000 0.5000  2 Cr 1.95
O 0.5000 0.0000 0.5000  2 Cr 1.95
O 0.5000 0.5000 0.0000  2 Cr 1.95

Computed properties:
- Total moment: 3.00 μB/f.u.
- Crystal system: cubic

(3)
DFT (PBE+U) results for a geometry-optimized Li3VH16O12 structure.

a b c (Å): 7.3523 6.5438 13.0583
angles (deg): 90.00 111.87 90.00
Last column: nearest neighbours and their distance in Å.
Fractional coordinates of all 64 atoms:
Li 0.0000 0.0465 0.0000  4 O 1.97-1.99
Li 0.0000 0.9535 0.5000  4 O 1.97-1.99
Li 0.5152 0.3563 0.5557  4 O 1.96-2.01
Li 0.5152 0.6437 0.0557  4 O 1.96-2.01
Li 0.6511 0.1516 0.7552  4 O 1.93-2.03
Li 0.6511 0.8484 0.2552  4 O 1.93-2.03
V 0.1808 0.4539 0.3179  4 O 1.74-1.76
V 0.1808 0.5461 0.8179  4 O 1.74-1.76
H 0.0103 0.1433 0.8131  1 O 1.01
H 0.0103 0.8567 0.3131  1 O 1.01
H 0.0783 0.2646 0.6296  1 O 1.00
H 0.0783 0.7354 0.1296  1 O 1.00
H 0.1173 0.3217 0.5179  1 O 1.01
H 0.1173 0.6783 0.0179  1 O 1.01
H 0.2532 0.3246 0.0220  1 O 1.01
H 0.2532 0.6754 0.5220  1 O 1.01
H 0.2840 0.2491 0.1433  1 O 1.00
H 0.2840 0.7509 0.6433  1 O 1.00
H 0.3497 0.1435 0.8078  1 O 1.00
H 0.3497 0.8565 0.3078  1 O 1.00
H 0.4308 0.0839 0.3129  1 O 0.99
H 0.4308 0.9161 0.8129  1 O 0.99
H 0.4349 0.0295 0.0793  1 O 1.00
H 0.4349 0.9705 0.5793  1 O 1.00
H 0.5323 0.4711 0.2372  1 O 1.00
H 0.5323 0.5289 0.7372  1 O 1.00
H 0.5916 0.4006 0.3999  1 O 0.99
H 0.5916 0.5994 0.8999  1 O 0.99
H 0.6445 0.0174 0.0723  1 O 1.00
H 0.6445 0.9826 0.5723  1 O 1.00
H 0.7496 0.2988 0.0123  1 O 0.99
H 0.7497 0.4629 0.2335  1 O 1.01
H 0.7497 0.5371 0.7335  1 O 1.01
H 0.7496 0.7012 0.5123  1 O 0.99
H 0.8081 0.3599 0.4937  1 O 1.00
H 0.8081 0.6401 0.9937  1 O 1.00
H 0.8789 0.2320 0.1339  1 O 1.01
H 0.8789 0.7680 0.6339  1 O 1.01
H 0.9382 0.0897 0.3102  1 O 1.01
H 0.9382 0.9103 0.8102  1 O 1.01
O 0.0308 0.2411 0.5478  2 H 1.00-1.01
O 0.0308 0.7589 0.0478  2 H 1.00-1.01
O 0.1432 0.2956 0.7703  3 H 1.63-1.73, 1 V 1.74
O 0.1432 0.7044 0.2703  3 H 1.63-1.73, 1 V 1.74
O 0.2507 0.1987 0.0661  2 H 1.00-1.01
O 0.2507 0.8013 0.5661  2 H 1.00-1.01
O 0.2538 0.4511 0.4619  2 H 1.67-1.68, 1 V 1.75
O 0.2538 0.5489 0.9619  2 H 1.67-1.68, 1 V 1.75
O 0.3669 0.3456 0.2804  4 H 1.73-1.84, 1 V 1.76
O 0.3669 0.6544 0.7804  4 H 1.73-1.84, 1 V 1.76
O 0.4714 0.0619 0.8223  2 H 0.99-1.00
O 0.4714 0.9381 0.3223  2 H 0.99-1.00
O 0.5503 0.0636 0.5953  2 H 1.00
O 0.5503 0.9364 0.0953  2 H 1.00
O 0.6277 0.4516 0.7136  2 H 1.00-1.01
O 0.6277 0.5484 0.2136  2 H 1.00-1.01
O 0.6827 0.4384 0.4752  2 H 0.99-1.00
O 0.6827 0.5616 0.9752  2 H 0.99-1.00
O 0.8149 0.1771 0.0562  2 H 0.99-1.01
O 0.8149 0.8229 0.5562  2 H 0.99-1.01
O 0.9220 0.0514 0.8367  2 H 1.01
O 0.9220 0.9486 0.3367  2 H 1.01
O 0.9606 0.3195 0.2598  3 H 1.63-1.73, 1 V 1.75
O 0.9606 0.6805 0.7598  3 H 1.63-1.73, 1 V 1.75

Computed properties:
- Total moment: 0.00 μB/f.u.
- Energy above the lowest structure with this stoichiometry: 4 meV per atom